Most survivors -- whether they've forgotten the abuse or not -- have deep anger which manifests itself in chronic health problems such as cancer, gynecological disorders, back or neck pain, migraines, hemorrhoids, heart palpitations, skin problems, insomnia, alcoholism, and obesity.
Can you feel the energies bumping up against you? One minute, you feel pushed; the next minute, pulled. One minute, you’re OK, and the next minute, you’re not. It’s chaotic out there. Our world is in flux; nothing feels normal anymore.
Most people don’t know that they need to protect themselves from negative energies around them. Most people on this planet do not even think in terms of ‘energy’ at all, which is strange, because everything on this planet is a form of energy, and we use these different forms of energy all the time!
People tend to throw around a lot of words to describe their emotions and feelings. We're confused or we feel frustrated. We're hurt or we're excited. Whatever the label, deciphering feelings from emotions can be a bit perplexing. If we start by learning the difference there are big rewards.
- By Nora Caron
I consider myself an expert in recovering from emotional shocks. The past six years has been a long series of extremely difficult events that were accompanied by heavy emotional after-shock for me.
Records of crystals, as found in the file:
/*
i | {
  "formula": "RbBeP2Cl",
  "functional": "PBE-GGA",
  "state": "optimized geometry",
  "crystal_system": "tetragonal",
  "m_tot_mub_per_cell": 6.089,
  "sg": "P4/mmm",
  "lattice_angstrom": [[7.485, 0.000, 0.000], [0.000, 7.485, 0.000], [0.000, 0.000, 5.997]],
  "species": ["P", "P", "Rb", "Be", "Cl"],
  "frac_coords": [[0.500, 0.000, 0.000], [0.000, 0.500, 0.000], [0.000, 0.000, 0.000], [0.500, 0.500, 0.500], [0.000, 0.000, 0.500]]
}

ii | {
  "formula": "RbBeP2Cl",
  "functional": "PBE-GGA",
  "state": "optimized geometry",
  "crystal_system": "tetragonal",
  "dos_at_fermi_per_ev_atom": 0.3420,
  "m_tot_mub_per_cell": 0.000,
  "sg": "P4/mmm",
  "lattice_angstrom": [[-2.556, -1.479, -3.028], [1.660, -3.860, 0.485], [-5.420, -1.655, 5.383]],
  "species": ["P", "P", "Cl", "Rb", "Be"],
  "frac_coords": [[0.500, 0.000, 0.000], [0.000, 0.500, 0.000], [0.000, 0.000, 0.500], [0.500, 0.500, 0.500], [0.000, 0.000, 0.000]]
}

The data favor ii; the next most stable structure lies 158.3 kJ/mol of atoms above it.

i | {
  "formula": "BeReP2Cl",
  "functional": "PBE-GGA",
  "state": "optimized geometry",
  "crystal_system": "tetragonal",
  "dos_at_fermi_per_ev_atom": 0.6383,
  "m_tot_mub_per_cell": 1.766,
  "sg": "P4/mmm",
  "lattice_angstrom": [[4.195, 0.000, 0.000], [0.000, 4.195, 0.000], [0.000, 0.000, 4.342]],
  "species": ["P", "P", "Re", "Cl", "Be"],
  "frac_coords": [[0.000, 0.500, 0.000], [0.500, 0.000, 0.000], [0.500, 0.500, 0.500], [0.000, 0.000, 0.500], [0.000, 0.000, 0.000]]
}

ii | {
  "formula": "BeReP2Cl",
  "functional": "PBE-GGA",
  "state": "optimized geometry",
  "crystal_system": "tetragonal",
  "dos_at_fermi_per_ev_atom": 0.5451,
  "m_tot_mub_per_cell": 0.000,
  "sg": "P4/mmm",
  "lattice_angstrom": [[-4.315, -1.047, 0.959], [1.419, -3.299, 2.783], [0.063, 3.362, 3.954]],
  "species": ["P", "P", "Re", "Be", "Cl"],
  "frac_coords": [[0.500, 0.000, 0.000], [0.000, 0.500, 0.000], [0.000, 0.000, 0.000], [0.500, 0.500, 0.500], [0.000, 0.000, 0.500]]
}

The data favor ii; the next most stable structure lies 27.2 kJ/mol of atoms above it.

i | {
  "formula": "BePRuCl2",
  "functional": "PBE-GGA",
  "state": "optimized geometry",
  "crystal_system": "tetragonal",
  "dos_at_fermi_per_ev_atom": 0.7172,
  "m_tot_mub_per_cell": 2.339,
  "sg": "P4/mmm",
  "lattice_angstrom": [[-0.676, 3.443, 1.773], [-3.404, -1.386, 1.393], [3.494, -2.454, 6.098]],
  "species": ["P", "Cl", "Cl", "Ru", "Be"],
  "frac_coords": [[0.000, 0.000, 0.500], [0.000, 0.500, 0.000], [0.500, 0.000, 0.000], [0.500, 0.500, 0.500], [0.000, 0.000, 0.000]]
}

ii | {
  "formula": "BePRuCl2",
  "functional": "PBE-GGA",
  "state": "optimized geometry",
  "crystal_system": "tetragonal",
  "dos_at_fermi_per_ev_atom": 1.2065,
  "m_tot_mub_per_cell": 0.002,
  "sg": "P4/mmm",
  "lattice_angstrom": [[-3.495, -1.321, -3.144], [-0.955, -3.942, 2.718], [-3.010, 2.354, 2.357]],
  "species": ["Cl", "Cl", "P", "Ru", "Be"],
*/
As someone who was once unhappy in every sense of the word, I can personally verify that misery leads to heartless behavior, and vice versa. For years I experienced failed relationships, financial struggles, poor health, depression, and an endless stream of...
I now live my life from joy instead of from fear. This is the one very simple difference between who I was before my near-death experience (NDE) and who I am today. Before, without even realizing it, everything I did was to avoid pain or to please other people...
Personality is a broad term describing how people habitually relate to the world and their inner self. After the developmental period through childhood and adolescence, these patterns of relating remain reasonably stable through life.
- By Cara Bradley
When your heart opens, you access your natural sense of confidence. It emerges when you embrace the moment fully — no matter what is happening. When you show up, available for life just as it is, you feel fully awake and alive.
Philosophy has been a favorite whipping boy in the culture wars since 399 B.C., when an Athenian jury sentenced Socrates to death. Nowadays, philosophers are no longer accused of “corrupting the youth.”
A new study finds that early-career doctors—and the rest of us—can be better at our jobs if we simply set aside as little as 30 minutes a day for some “me time.”
One of the biggest things I've discovered working with clients everyday is how extremely difficult and challenging it is for most people today to know what is best for them to think, say and do in the various situations and relationships in their lives.
Have you become a wet blanket, failing to acknowledge what's working or punishing others when they say or do things you don't like? If so you are unknowingly or knowingly creating alienation and insecurity in those around you. You are not spreading joy, love, or peace.
When you find the courage to do something about your low quality of life and choose to make things better you are on the right track to raising your vibration. Raising your vibration comes down to many factors and listed below are ten key steps that will definitely help towards raising your vibration immediately.
When we recognise who we are and that we’re connected at the very core, we open up the doors to changing our perspective on challenging circumstances. We start to view forgiveness with different eyes. To understand this further we need to learn more about how we function.
- By Jacob Watson
For me, an unrecognized, unexpressed feeling is like a persistent hand tapping on my shoulder. If I don’t give the feeling what it wants, acknowledgement and expression, the tapping gets more insistent. The feeling pulls more and more of my attention away from the present moment.
We hold in our mind all kinds of old fears and feelings that we’ve had since childhood, some of which we are only dimly aware. The problem is that the reptilian and mammalian parts of our brains respond strongly to those old feelings, as if they were current realities. We need to work on acknowledging those outdated feelings and fears and avoid being triggered...
When we think of the word wound, we usually do not associate it with sources of wisdom or personal power, but your wounds can reveal great knowledge and self-understanding. When you have experienced suffering that splits you open, you have the opportunity to understand the true meaning of the heart of compassion for yourself and for others in your life.
- By Servet Hasan
Life’s challenges are universal and eventually will find us. Whether you're moving to a new city, leaving for college, or experiencing a divorce in your family, having life throw a major curve ball our way can leave us longing for the way things used to be.
Values are simply your ideals and your beliefs about what matters to you and what will make your life the best it can be. Even if you choose to do something that feels unpleasant, if you examine the situation closely, you will see that your choice likely stems from your desire to live in accordance with your values.
Every religious discipline teaches it. Every culture values it. Self-control or self-mastery is a key to power. "Though one should conquer a million men on the battlefield, yet he, indeed, is the noblest victor who has conquered himself."
I always had a feeling inside that there was something more to life. In a sense I had a great life—two wonderful kids, a husband, a successful business, a house—but even with all the trappings of what one might call “success” I found that life felt empty and meaningless. Often I would ask God, “What am I doing here? What is the point of all of this?”
- By Jan Frazier
Resisting is a tensing-against something. It gets revved up via some kind of mental handling (complaint, story-spinning, denial), leading to emotional distress. Whatever difficulty you’re experiencing in the presence of something you’d prefer hadn’t happened, resistance compounds the challenge...